Entries:
-- begin --
{
  "formula": "C29H67N10O12S2",
  "method": "ωB97M-V/def2-TZVPD",
  "lumo_ev": -4.89,
  "charge": 1,
  "spin_multiplicity": 1,
  "homo_ev": -10.565,
  "species": ["N", "C", "O", "S", "C", "S", "O", "O", "H", "H", "H", "H", "C", "O", "N", "C", "C", "H", "H", "H", "H", "H", "H", "H", "C", "O", "N", "C", "C", "H", "H", "H", "H", "H", "H", "H", "C", "O", "N", "C", "C", "H", "H", "H", "H", "H", "H", "H", "C", "O", "N", "C", "C", "H", "H", "H", "H", "H", "H", "H", "C", "O", "N", "C", "C", "H", "H", "H", "H", "H", "H", "H", "C", "O", "N", "C", "C", "H", "H", "H", "H", "H", "H", "H", "C", "O", "N", "C", "C", "H", "H", "H", "H", "H", "H", "H", "C", "O", "N", "C", "C", "H", "H", "H", "H", "H", "H", "H", "C", "O", "N", "C", "C", "H", "H", "H", "H", "H", "H", "H"],
  "xyz": [[6.607, 3.598, -1.837], [5.830, 2.717, -2.155], [4.577, 2.042, -2.374], [3.737, 1.989, -0.885], [2.129, 1.134, -1.254], [0.949, 2.502, -1.826], [0.232, 2.987, -0.597], [1.796, 3.587, -2.485], [3.514, 3.342, -0.562], [1.737, 0.698, -0.252], [2.197, 0.290, -2.028], [0.101, 1.998, -2.808], [1.950, -0.701, 2.373], [2.208, 0.146, 1.520], [1.730, -2.023, 2.131], [1.429, -2.958, 3.196], [1.798, -2.511, 0.767], [1.874, -0.440, 3.443], [2.195, -3.738, 3.211], [0.452, -3.411, 3.007], [1.410, -2.456, 4.165], [2.794, -2.307, 0.364], [1.060, -1.983, 0.161], [1.601, -3.583, 0.733], [-0.988, -0.739, -1.727], [0.195, -1.012, -1.552], [-1.816, -1.348, -2.612], [-3.208, -0.962, -2.755], [-1.291, -2.419, -3.439], [-1.486, 0.058, -1.150], [-3.839, -1.821, -2.535], [-3.382, -0.635, -3.781], [-3.461, -0.148, -2.073], [-0.918, -3.218, -2.793], [-0.460, -2.035, -4.037], [-2.067, -2.810, -4.096], [-4.314, -1.807, -5.690], [-4.069, -2.588, -4.785], [-4.095, -2.039, -7.014], [-4.414, -1.059, -8.033], [-3.524, -3.311, -7.417], [-4.750, -0.813, -5.494], [-5.141, -1.490, -8.726], [-3.501, -0.801, -8.576], [-4.834, -0.155, -7.590], [-4.181, -4.118, -7.086], [-2.550, -3.432, -6.936], [-3.407, -3.354, -8.500], [-5.247, -1.831, 0.365], [-4.298, -2.059, -0.366], [-5.301, -0.841, 1.304], [-6.467, -0.632, 2.138], [-4.153, 0.029, 1.472], [-6.169, -2.432, 0.320], [-6.850, 0.378, 1.968], [-6.180, -0.741, 3.187], [-7.251, -1.355, 1.905], [-3.949, 0.538, 0.526], [-3.282, -0.575, 1.739], [-4.342, 0.766, 2.253], [8.852, -0.235, 0.233], [7.888, -0.427, -0.488], [9.124, 0.928, 0.893], [10.292, 1.083, 1.737], [8.212, 2.043, 0.743], [9.604, -1.020, 0.413], [9.968, 1.322, 2.754], [10.906, 1.900, 1.349], [10.885, 0.168, 1.758], [7.218, 1.739, 1.083], [8.153, 2.313, -0.313], [8.553, 2.900, 1.324], [3.010, 0.500, 5.811], [2.051, 0.285, 5.083], [3.257, 1.668, 6.464], [4.419, 1.845, 7.312], [2.328, 2.774, 6.306], [3.775, -0.270, 6.000], [4.087, 2.084, 8.326], [5.022, 2.670, 6.923], [5.027, 0.939, 7.339], [1.337, 2.461, 6.644], [2.268, 3.042, 5.248], [2.658, 3.637, 6.886], [-1.980, 1.598, 7.080], [-1.295, 2.506, 7.512], [-1.569, 0.307, 6.919], [-2.444, -0.723, 6.397], [-0.211, -0.045, 7.284], [-3.027, 1.759, 6.773], [-2.547, -1.515, 7.143], [-2.004, -1.136, 5.485], [-3.431, -0.318, 6.166], [-0.057, 0.180, 8.343], [0.482, 0.556, 6.694], [-0.026, -1.104, 7.102], [-5.030, -6.382, -5.929], [-5.319, -6.444, -7.110], [-5.884, -6.617, -4.891], [-5.463, -6.522, -3.509], [-7.260, -6.972, -5.183], [-4.011, -6.121, -5.597], [-5.614, -7.490, -3.023], [-6.065, -5.763, -3.004], [-4.409, -6.248, -3.438], [-7.273, -7.887, -5.781], [-7.722, -6.169, -5.762], [-7.819, -7.129, -4.260], [2.409, 8.489, -0.432], [2.641, 9.681, -0.382], [1.902, 7.825, -1.513], [1.653, 6.399, -1.495], [1.605, 8.575, -2.718], [2.599, 7.827, 0.430], [2.248, 5.924, -2.279], [0.591, 6.221, -1.685], [1.921, 5.965, -0.530], [2.519, 9.055, -3.076], [0.871, 9.350, -2.485], [1.209, 7.915, -3.492]],
-- stop --
Job:
Return the part of the calculation results further above that starts with the line with "lumo_ev" and stops after the one with "species".
Result:
  "lumo_ev": -4.89,
  "charge": 1,
  "spin_multiplicity": 1,
  "homo_ev": -10.565,
  "species": ["N", "C", "O", "S", "C", "S", "O", "O", "H", "H", "H", "H", "C", "O", "N", "C", "C", "H", "H", "H", "H", "H", "H", "H", "C", "O", "N", "C", "C", "H", "H", "H", "H", "H", "H", "H", "C", "O", "N", "C", "C", "H", "H", "H", "H", "H", "H", "H", "C", "O", "N", "C", "C", "H", "H", "H", "H", "H", "H", "H", "C", "O", "N", "C", "C", "H", "H", "H", "H", "H", "H", "H", "C", "O", "N", "C", "C", "H", "H", "H", "H", "H", "H", "H", "C", "O", "N", "C", "C", "H", "H", "H", "H", "H", "H", "H", "C", "O", "N", "C", "C", "H", "H", "H", "H", "H", "H", "H", "C", "O", "N", "C", "C", "H", "H", "H", "H", "H", "H", "H"],